Russian First Announcement Registration

Sobolev Institute of Mathematics
Russian Foundation for Basic Research
Association for Pattern Recognition and Image Analysis of the Russian Federation

IIInd All–Russian Conference “Knowledge - Ontology - Theory” (KONT-11)
with international participation
3–5 October, 2011 

First Announcement and Call for Papers

The focus of the conference is mathematical methods of data representation, data mining, construction of subject domains theories, Formal Concept Analysis, as well as methods of information extraction from texts in natural language.
All accepted papers will be published in the conference proceedings. We also plan to publish selected papers in a special issue of Lecture Notes in Artificial Intelligence.

Conference topics reflect the main stages of knowledge discovery process:

Data collection and pre-processing. Measuring. Accumulation of facts. Generation of preliminary description. Creation of empirical hypotheses. 

Discovering of regularities (knowledge) hidden in structured and unstructured data. Machine learning. Pattern recognition. Forecasting. Inductive reasoning (from numerical tables, signals, images, natural language texts, etc.).

Systematization of knowledge. Knowledge engineering. Generation of subject domain ontologies: technologies, applications.

Generation of subject domain theories. Formal Concept Analysis. Logical semantics of natural language. Fuzzy logic. Description of basic elements of a theory: axioms, hypotheses, general models, methods of analysis and synthesis.

Conference Program Committee:

Chair: Zhuravlev Y. I., Full Member of the RAS 
Co-Chairs: Prof. D. E. Palchunov and Prof. N. G. Zagoruiko

Ablamejko S. V. (Minsk, Belarus)
Cheremisina E. N. (Dubna, Russia)
Fedotov A. M. (Novosibirsk, Russia)
Gavrilova T. A. (S.-Petersburg, Russia)
Gladun V. P. (Kiev, Ukraine)
Ganter B. (Dresden, Germany)
Herre H. (Leipzig, Germany)
Kalinichenko L. I. (Moscow, Russia)
Kleschov A. S. (Vladivostok, Russia)
Kolchanov N. A. (Novosibirsk, Russia)
Kovalerchuk B. (Seattle, USA)
Kuznetsov S. O. (Moscow, Russia)
Lukashevich N. V. (Moscow, Russia)
Marchuk A. G. (Novosibirsk, Russia)
Markov K. (Sofia, Bulgaria)
Samokhvalov K. F. (Novosibirsk, Russia)
Sviridenko D. I. (Moscow, Russia)
Stepashko V. S. (Kiev, Ukraine)
Tarasenko Ph. P. (Tomsk, Russia)
Tselishchev V. V. (Novosibirsk, Russia)
Vasenin V. A. (Moscow, Russia)
Vasiljev S. N. (Moscow, Russia)
Vityaev E. E. (Novosibirsk, Russia)
Wolff K. E. (Darmstadt, Germany)
Zagorulko Yu. A. (Novosibirsk, Russia)
Zelger J. (Innsbruck, Austria)

== Someone pasted records of molecules at this point ==
/*
(1)
C5H20HgN4O6 | the ωB97M-V functional and the def2-TZVPD basis

Output
- 2S+1: 1
- Gap between HOMO and LUMO: 7.0513 eV
- E_LUMO: 0.31 eV

Cartesian coordinates (Å):
Hg (-0.94, -0.11, -0.57)
C (0.41, -3.40, 1.55)
C (-0.94, -2.70, 1.38)
O (-1.11, -2.16, 0.12)
H (0.46, -4.25, 0.86)
H (0.57, -3.67, 2.59)
H (1.20, -2.70, 1.24)
H (-0.99, -1.91, 2.15)
H (-1.75, -3.42, 1.60)
C (-2.88, 1.26, 1.60)
O (-2.66, 0.96, 0.28)
H (-2.28, 0.65, 2.30)
H (-2.71, 2.33, 1.83)
H (-3.93, 1.03, 1.88)
C (2.31, -1.23, -1.39)
O (1.23, -0.68, -1.42)
N (2.42, -2.55, -1.07)
N (3.48, -0.54, -1.64)
H (1.57, -3.03, -0.84)
H (3.31, -2.99, -0.90)
H (3.33, 0.39, -1.97)
H (4.34, -1.02, -1.82)
C (-0.11, 3.28, -0.72)
O (-0.41, 2.18, -1.16)
N (1.15, 3.83, -0.84)
N (-1.00, 3.94, 0.08)
H (1.75, 3.41, -1.52)
H (1.25, 4.81, -0.62)
H (-1.89, 3.47, 0.19)
H (-0.91, 4.90, 0.36)
O (-1.73, -0.65, -2.74)
H (-1.90, 0.07, -3.36)
H (-2.10, -1.44, -3.14)
O (0.32, 0.49, 1.59)
H (1.25, 0.44, 1.83)
H (-0.11, 1.02, 2.27)

These are the Mulliken partial charges, in e, on atoms 1 to 8:
1 Hg 2.0603
2 C -1.0492
3 C -0.0591
4 O -0.9408
5 H 0.2581
6 H 0.3738
7 H 0.1547
8 H 0.0801

=====

(2)
CH8O2S2 | the ωB97M-V functional and the def2-TZVPD basis

Output
- 2S+1: 2
- Gap between HOMO and LUMO (alpha / beta): 9.7817 / 6.4049 eV
- Net charge: +1
- <S²>: 0.755
- E_LUMO (alpha / beta): -4.70 / -8.07 eV

Cartesian coordinates (Å):
C (-0.15, 1.89, -0.99)
S (0.10, 2.81, 0.55)
S (1.07, 1.39, 1.63)
H (-0.86, 2.39, -1.65)
H (-0.51, 0.90, -0.74)
H (0.78, 1.92, -1.55)
H (0.47, 0.27, 1.19)
H (-1.89, -2.13, -0.83)
H (-0.30, -1.81, -0.51)
O (-1.07, -1.72, -1.10)
H (1.54, -2.00, 1.43)
H (0.09, -2.17, 1.59)
O (0.72, -1.75, 0.98)

These are the Mulliken partial charges, in e, on atoms 1 to 8:
1 C -0.6444
2 S 0.3105
3 S 0.0710
4 H 0.3367
5 H 0.2140
6 H 0.3561
7 H 0.3342
8 H 0.3042

=====

(3)
C19H22N2O3S | the ωB97M-V functional and the def2-TZVPD basis

Output
- 2S+1: 1
- Gap between HOMO and LUMO: 9.2086 eV
- Structure (SMILES): CN(c1ccc(C(=O)NC2CCCC2)cc1)S(=O)(=O)c1ccccc1
- E_LUMO: 0.53 eV

Cartesian coordinates (Å):
C (2.58, -1.62, 1.58)
N (2.06, -0.72, 0.58)
C (0.68, -0.52, 0.47)
C (0.21, 0.62, -0.18)
C (-1.15, 0.86, -0.28)
C (-2.07, -0.03, 0.27)
C (-3.52, 0.29, 0.14)
O (-3.93, 1.44, 0.18)
N (-4.32, -0.79, -0.01)
C (-5.76, -0.75, -0.17)
C (-6.47, -0.14, 1.06)
C (-7.63, 0.66, 0.48)
C (-7.01, 1.27, -0.77)
C (-6.22, 0.11, -1.38)
C (-1.60, -1.16, 0.94)
C (-0.24, -1.40, 1.04)
S (3.04, -0.72, -0.80)
O (2.37, -0.04, -1.86)
O (3.50, -2.06, -1.03)
C (4.41, 0.27, -0.22)
C (4.16, 1.55, 0.23)
C (5.21, 2.34, 0.67)
C (6.50, 1.83, 0.65)
C (6.75, 0.54, 0.20)
C (5.69, -0.25, -0.24)
H (3.64, -1.42, 1.68)
H (2.45, -2.67, 1.30)
H (2.09, -1.43, 2.54)
H (0.91, 1.30, -0.62)
H (-1.51, 1.74, -0.77)
H (-3.87, -1.69, -0.12)
H (-6.08, -1.78, -0.32)
H (-5.78, 0.53, 1.56)
H (-6.79, -0.91, 1.76)
H (-8.46, 0.00, 0.21)
H (-8.00, 1.41, 1.18)
H (-7.75, 1.67, -1.46)
H (-6.32, 2.07, -0.49)
H (-5.36, 0.46, -1.95)
H (-6.85, -0.48, -2.04)
*/

Organizing Committee:

Palchunov D. E., Chair
Zagoruiko N. G., Chair 
Vlasov D. Yu., the scientific secretary 
Borisova I. À.
Pavlovsky E. N.                                 
Rjaskin A. N.
Salomatina N. V. 
Vasilenko N. M. 
Vityaev E. E. 
Yakhyaeva G. E.

The conference is planned to consist of plenary and session presentations, and discussions on chosen topics. Working languages are Russian and English.

Online registration

For registering, please fill and send us the registration form via email, with subject “participation”.

Submission details

Papers (up to 10 p. in PDF format) have to be submitted via email, with subject “thesis”.

Important dates

Abstract submission (papers and presentations):  April 30, 2011
Notification of papers acceptance/rejection:          July 1, 2011
Conference:                                                    October 3 – 5, 2011

Conference fee

The conference fee in the amount of 500 rubles/person (~11 €) should be paid in cash upon arrival at the conference. Students and post-graduate students are exempted from payment.

Sufficient hotels are available in Academgorodok and Novosibirsk.


© Sobolev Institute of mathematics, 2011